Quote the contents further down from the line with "8.454 Å," to the end exactly.
<<<
[1]
This record from the Alexandria database describes a relaxed KRh2Pb2 crystal. The functional is PBE.

relative energy among the computed polymorphs = 0 meV/atom
SG = No. 139
DOS(E_F) = 2.975 states/eV/f.u.

a = 7.135 Å, b = 7.135 Å, c = 7.135 Å
α = 143.46°, β = 143.46°, γ = 52.63°
Positions (direct):
K1 0.000 0.000 0.000
Rh1 0.250 0.750 0.500
Rh2 0.750 0.250 0.500
Pb1 0.367 0.367 0.000
Pb2 0.633 0.633 0.000



[2]
This record from the Alexandria database describes a relaxed KRh2Pb2 crystal. The functional is PBE.

relative energy among the computed polymorphs = 130 meV/atom
SG = No. 127
DOS(E_F) = 2.536 states/eV/f.u.

a = 8.454 Å, b = 8.454 Å, c = 3.107 Å
α = 90.00°, β = 90.00°, γ = 90.00°
Positions (direct):
K1 0.000 0.000 0.000
K2 0.500 0.500 0.000
Rh1 0.149 0.351 0.500
Rh2 0.351 0.851 0.500
Rh3 0.649 0.149 0.500
Rh4 0.851 0.649 0.500
Pb1 0.143 0.643 0.000
Pb2 0.357 0.143 0.000
Pb3 0.643 0.857 0.000
Pb4 0.857 0.357 0.000



[3]
This record from the Alexandria database describes a relaxed KRhPb crystal. The functional is PBE.

E = -3.880 eV per atom
SG = No. 156
DOS(E_F) = 0.434 states/eV/f.u.

a = 4.163 Å, b = 4.163 Å, c = 6.309 Å
α = 90.00°, β = 90.00°, γ = 120.00°
Positions (direct):
K1 0.000 0.000 0.000
Rh1 0.333 0.667 0.632
Pb1 0.667 0.333 0.453



[4]
This record from the Alexandria database describes a relaxed KRh3Pb crystal. The functional is PBE.

relative energy among the computed polymorphs = 791 meV/atom
SG = No. 221
DOS(E_F) = 6.626 states/eV/f.u.

a = 4.828 Å, b = 4.828 Å, c = 4.828 Å
α = 90.00°, β = 90.00°, γ = 90.00°
Positions (direct):
K1 0.000 0.000 0.000
Rh1 0.000 0.000 0.500
Rh2 0.000 0.500 0.000
Rh3 0.500 0.000 0.000
Pb1 0.500 0.500 0.500



[5]
This record from the Alexandria database describes a relaxed KRhPb crystal. The functional is PBE.

E = -3.960 eV per atom
SG = No. 107
DOS(E_F) = 2.984 states/eV/f.u.

a = 6.993 Å, b = 6.993 Å, c = 6.993 Å
α = 151.12°, β = 151.12°, γ = 41.30°
Positions (direct):
K1 0.000 0.000 0.000
Rh1 0.683 0.683 0.000
Pb1 0.284 0.284 0.000



[6]
This record from the Alexandria database describes a relaxed KRh4Pb12 crystal. The functional is PBE.

E = -4.414 eV per atom
SG = No. 204
DOS(E_F) = 15.516 states/eV/f.u.

a = 8.552 Å, b = 8.552 Å, c = 8.552 Å
α = 109.47°, β = 109.47°, γ = 109.47°
Positions (direct):
K1 0.000 0.000 0.000
Rh1 0.000 0.000 0.500
Rh2 0.000 0.500 0.000
Rh3 0.500 0.000 0.000
Rh4 0.500 0.500 0.500
Pb1 0.168 0.336 0.503
Pb2 0.168 0.664 0.832
Pb3 0.168 0.832 0.336
Pb4 0.336 0.168 0.832
Pb5 0.336 0.503 0.168
Pb6 0.497 0.832 0.664
Pb7 0.503 0.168 0.336
Pb8 0.664 0.497 0.832
Pb9 0.664 0.832 0.168
Pb10 0.832 0.168 0.664
Pb11 0.832 0.336 0.168
Pb12 0.832 0.664 0.497



[7]
This record from the Alexandria database describes a relaxed KRhPb3 crystal. The functional is PBE.

relative energy among the computed polymorphs = 173 meV/atom
SG = No. 221
DOS(E_F) = 8.325 states/eV/f.u.

a = 5.440 Å, b = 5.440 Å, c = 5.440 Å
α = 90.00°, β = 90.00°, γ = 90.00°
Positions (direct):
K1 0.000 0.000 0.000
Rh1 0.500 0.500 0.500
Pb1 0.000 0.500 0.500
Pb2 0.500 0.000 0.500
Pb3 0.500 0.500 0.000



[8]
This record from the Alexandria database describes a relaxed KRhPb crystal. The functional is PBE.

E = -4.183 eV per atom
SG = No. 129
DOS(E_F) = 0.361 states/eV/f.u.

a = 4.617 Å, b = 4.617 Å, c = 8.106 Å
α = 90.00°, β = 90.00°, γ = 90.00°
Positions (direct):
K1 0.250 0.250 0.169
K2 0.750 0.750 0.831
Rh1 0.250 0.750 0.500
Rh2 0.750 0.250 0.500
Pb1 0.250 0.250 0.679
Pb2 0.750 0.750 0.321



What is the DOS(E_F) in the first record? 2.975 states/eV/f.u.
>>>
a = 8.454 Å, b = 8.454 Å, c = 3.107 Å
α = 90.00°, β = 90.00°, γ = 90.00°
Positions (direct):
K1 0.000 0.000 0.000
K2 0.500 0.500 0.000
Rh1 0.149 0.351 0.500
Rh2 0.351 0.851 0.500
Rh3 0.649 0.149 0.500
Rh4 0.851 0.649 0.500
Pb1 0.143 0.643 0.000
Pb2 0.357 0.143 0.000
Pb3 0.643 0.857 0.000
Pb4 0.857 0.357 0.000



[3]
This record from the Alexandria database describes a relaxed KRhPb crystal. The functional is PBE.

E = -3.880 eV per atom
SG = No. 156
DOS(E_F) = 0.434 states/eV/f.u.

a = 4.163 Å, b = 4.163 Å, c = 6.309 Å
α = 90.00°, β = 90.00°, γ = 120.00°
Positions (direct):
K1 0.000 0.000 0.000
Rh1 0.333 0.667 0.632
Pb1 0.667 0.333 0.453



[4]
This record from the Alexandria database describes a relaxed KRh3Pb crystal. The functional is PBE.

relative energy among the computed polymorphs = 791 meV/atom
SG = No. 221
DOS(E_F) = 6.626 states/eV/f.u.

a = 4.828 Å, b = 4.828 Å, c = 4.828 Å
α = 90.00°, β = 90.00°, γ = 90.00°
Positions (direct):
K1 0.000 0.000 0.000
Rh1 0.000 0.000 0.500
Rh2 0.000 0.500 0.000
Rh3 0.500 0.000 0.000
Pb1 0.500 0.500 0.500



[5]
This record from the Alexandria database describes a relaxed KRhPb crystal. The functional is PBE.

E = -3.960 eV per atom
SG = No. 107
DOS(E_F) = 2.984 states/eV/f.u.

a = 6.993 Å, b = 6.993 Å, c = 6.993 Å
α = 151.12°, β = 151.12°, γ = 41.30°
Positions (direct):
K1 0.000 0.000 0.000
Rh1 0.683 0.683 0.000
Pb1 0.284 0.284 0.000



[6]
This record from the Alexandria database describes a relaxed KRh4Pb12 crystal. The functional is PBE.

E = -4.414 eV per atom
SG = No. 204
DOS(E_F) = 15.516 states/eV/f.u.

a = 8.552 Å, b = 8.552 Å, c = 8.552 Å
α = 109.47°, β = 109.47°, γ = 109.47°
Positions (direct):
K1 0.000 0.000 0.000
Rh1 0.000 0.000 0.500
Rh2 0.000 0.500 0.000
Rh3 0.500 0.000 0.000
Rh4 0.500 0.500 0.500
Pb1 0.168 0.336 0.503
Pb2 0.168 0.664 0.832
Pb3 0.168 0.832 0.336
Pb4 0.336 0.168 0.832
Pb5 0.336 0.503 0.168
Pb6 0.497 0.832 0.664
Pb7 0.503 0.168 0.336
Pb8 0.664 0.497 0.832
Pb9 0.664 0.832 0.168
Pb10 0.832 0.168 0.664
Pb11 0.832 0.336 0.168
Pb12 0.832 0.664 0.497



[7]
This record from the Alexandria database describes a relaxed KRhPb3 crystal. The functional is PBE.

relative energy among the computed polymorphs = 173 meV/atom
SG = No. 221
DOS(E_F) = 8.325 states/eV/f.u.

a = 5.440 Å, b = 5.440 Å, c = 5.440 Å
α = 90.00°, β = 90.00°, γ = 90.00°
Positions (direct):
K1 0.000 0.000 0.000
Rh1 0.500 0.500 0.500
Pb1 0.000 0.500 0.500
Pb2 0.500 0.000 0.500
Pb3 0.500 0.500 0.000



[8]
This record from the Alexandria database describes a relaxed KRhPb crystal. The functional is PBE.

E = -4.183 eV per atom
SG = No. 129
DOS(E_F) = 0.361 states/eV/f.u.

a = 4.617 Å, b = 4.617 Å, c = 8.106 Å
α = 90.00°, β = 90.00°, γ = 90.00°
Positions (direct):
K1 0.250 0.250 0.169
K2 0.750 0.750 0.831
Rh1 0.250 0.750 0.500
Rh2 0.750 0.250 0.500
Pb1 0.250 0.250 0.679
Pb2 0.750 0.750 0.321



What is the DOS(E_F) in the first record? 2.975 states/eV/f.u.